Saturday, November 18, 2006

One of My Dreams Come True

Chalk up another tally in the column of "Why this is my favorite year of life!" column~

-- Someone pasted data records at this point --
A relaxed Li10Mg7Cl24 crystal, computed with PBE.

Properties
* crystal system: monoclinic
* E_tot: -299.7 eV/cell
* DFT formation energy: -2.194 eV per atom

abc: 7.435 7.435 36.330
angles: 89.91 89.91 60.25
Positions (direct):
Cl1 0.658 0.658 0.042
Mg1 0.499 0.499 0.997
Cl2 0.338 0.812 0.456
Li1 0.833 0.833 0.333
Mg2 0.167 0.667 0.417
Cl3 0.809 0.338 0.958
Cl4 0.526 0.992 0.876
Li2 0.841 0.841 0.523
Li3 0.167 0.167 0.168
Cl5 0.327 0.327 0.210
Cl6 0.837 0.837 0.954
Cl7 0.004 0.004 0.123
Cl8 0.170 0.170 0.289
Cl9 0.504 0.504 0.622
Mg3 0.831 0.831 0.831
Cl10 0.478 0.005 0.623
Cl11 0.660 0.660 0.544
Cl12 0.497 0.497 0.378
Cl13 0.671 0.145 0.289
Cl14 0.505 0.505 0.121
Li4 0.841 0.841 0.020
Li5 0.826 0.826 0.644
Cl15 0.338 0.809 0.958
Cl16 0.674 0.674 0.790
Cl17 0.481 0.004 0.123
Cl18 0.340 0.340 0.456
Cl19 0.170 0.170 0.788
Cl20 0.996 0.522 0.377
Cl21 0.004 0.481 0.123
Cl22 0.145 0.671 0.289
Mg4 0.667 0.167 0.417
Li6 0.667 0.667 0.417
Cl23 0.830 0.830 0.212
Cl24 0.673 0.673 0.290
Li7 0.174 0.174 0.356
Li8 0.327 0.327 0.084
Li9 0.825 0.825 0.146
Cl25 0.662 0.189 0.544
Li10 0.500 0.500 0.500
Li11 0.000 0.000 0.250
Cl26 0.161 0.161 0.047
Cl27 0.830 0.830 0.711
Cl28 0.837 0.837 0.455
Mg5 0.000 0.500 0.250
Mg6 0.997 0.503 0.750
Cl29 0.855 0.329 0.210
Li12 0.000 0.000 0.749
Mg7 0.660 0.178 0.917
Cl30 0.991 0.991 0.876
Mg8 0.329 0.842 0.084
Cl31 0.138 0.675 0.791
Mg9 0.842 0.329 0.084
Cl32 0.992 0.526 0.876
Mg10 0.503 0.997 0.750
Cl33 0.194 0.658 0.042
Li13 0.167 0.167 0.667
Cl34 0.658 0.194 0.042
Cl35 0.163 0.163 0.545
Cl36 0.522 0.996 0.377
Cl37 0.856 0.329 0.711
Mg11 0.833 0.334 0.583
Cl38 0.327 0.327 0.711
Li14 0.508 0.508 0.189
Li15 0.333 0.333 0.583
Li16 0.159 0.159 0.477
Cl39 0.812 0.338 0.456
Li17 0.507 0.507 0.690
Mg12 0.178 0.660 0.917
Mg13 0.500 0.000 0.250
Cl40 0.005 0.478 0.623
Li18 0.492 0.492 0.311
Cl41 0.329 0.855 0.210
Cl42 0.675 0.138 0.791
Li19 0.659 0.659 0.918
Cl43 0.329 0.856 0.711
Cl44 0.339 0.339 0.957
Cl45 0.189 0.662 0.544
Cl46 0.495 0.495 0.879
Cl47 0.993 0.993 0.377
Cl48 0.007 0.007 0.623
Mg14 0.334 0.833 0.583
Li20 0.174 0.174 0.854

---

A relaxed Li2Zr6MnCl15 crystal, computed with PBE.

Properties
* crystal system: tetragonal
* E_tot: -131.1 eV/cell
* DFT formation energy: -2.012 eV per atom

abc: 9.150 9.150 9.150
angles: 108.96 108.96 110.50
Positions (direct):
Cl1 0.500 0.000 0.500
Cl2 0.758 0.242 0.000
Zr1 0.773 0.000 0.773
Cl3 0.508 0.755 0.753
Cl4 0.492 0.245 0.247
Cl5 0.500 0.500 0.000
Li1 0.750 0.250 0.500
Mn1 0.000 0.000 0.000
Cl6 0.999 0.245 0.753
Zr2 0.227 0.000 0.227
Li2 0.250 0.750 0.500
Zr3 0.236 0.236 0.000
Cl7 0.758 0.758 0.517
Cl8 0.001 0.755 0.247
Zr4 0.000 0.773 0.773
Cl9 0.242 0.758 0.000
Cl10 0.242 0.242 0.483
Zr5 0.764 0.764 0.000
Cl11 0.245 0.999 0.753
Cl12 0.245 0.492 0.247
Cl13 0.755 0.508 0.753
Cl14 0.000 0.500 0.500
Zr6 0.000 0.227 0.227
Cl15 0.755 0.001 0.247

---

A relaxed Rb2LiMoCl6 crystal, computed with PBE.

Properties
* crystal system: cubic
* E_tot: -40.8 eV/cell
-- The text goes on --

I'm pregnant!!!!!

I found out on Wednesday, November 8, 2006. The baby will be due in July, 2007. Coincidentally I already had an ob/gyn appointment for the end of this month. I decided to not try for sooner (although I'm sure they would've fit me in) since I had made that appointment in October and knew that that was the soonest I could get in in the afternoon. I'd just as soon hold onto my sick days for as long as possible.

My sperm donor knows, my family and closest friends know, some co-workers and as of Thursday, November 16, 2006 all of my students know. I have had such amazingly positive responses that I feel doubly blessed. One blessing to finally have a dream come true and the other to have so many in my life support that dream!!!!

I feel healthy (no morning sickness) and exceptionally calm! Emotionally I feel at peace in a way I never have before. Very Zen.

Anyway, blessings to all and may you have a dream come true this year as well!

Thursday, November 09, 2006

/*
Compound: Tm4C7
Source: Materials Project
Functional: r2SCAN
Structure: optimized geometry

Computed properties:
- Final energy: -19.5999 eV/atom
- Total magnetization: 0.00 μB/atom
- Density: 8.41 Mg/m³

Lattice parameters (Å, degrees): 3.626 13.536 6.329 90.00 105.04 90.00
Space group P2_1/c (No. 14)
Symmetry-distinct sites (fractional):
Tm (0.056, 0.161, 0.161)
Tm (0.367, 0.055, 0.740)
C (0.000, 0.000, 0.000)
C (0.267, 0.604, 0.050)
C (0.378, 0.697, 0.045)
C (0.465, 0.215, 0.924)


Compound: DyCu2
Source: Materials Project
Functional: r2SCAN
Structure: optimized geometry

Computed properties:
- Final energy: -18.1653 eV/atom
- Total magnetization: 0.00 μB/atom
- Density: 9.21 Mg/m³

Lattice parameters (Å, degrees): 4.274 6.735 7.254 90.00 90.00 90.00
Space group Imma (No. 74)
Symmetry-distinct sites (fractional):
Dy (0.000, 0.250, 0.043)
Cu (0.000, 0.051, 0.665)


Compound: BaF2
Source: Materials Project
Functional: r2SCAN
Structure: optimized geometry

Computed properties:
- Final energy: -15.0234 eV/atom
- Total magnetization: 0.00 μB/atom
- Density: 4.83 Mg/m³

Lattice parameters (Å, degrees): 6.226 6.226 6.226 90.00 90.00 90.00
Space group Fm-3m (No. 225)
Symmetry-distinct sites (fractional):
Ba (0.000, 0.000, 0.000)
F (0.250, 0.250, 0.250)


Compound: RbYb3
Source: Materials Project
Functional: r2SCAN
Structure: optimized geometry

Computed properties:
- Final energy: -30.1905 eV/atom
- Total magnetization: 0.49 μB/atom
- Density: 7.03 Mg/m³

Lattice parameters (Å, degrees): 5.262 5.262 10.313 90.00 90.00 90.00
Space group I4/mmm (No. 139)
Symmetry-distinct sites (fractional):
Rb (0.000, 0.000, 0.000)
Yb (0.000, 0.000, 0.500)
Yb (0.000, 0.500, 0.250)


Compound: Rb2PdF6
Source: Materials Project
Functional: r2SCAN
Structure: optimized geometry

Computed properties:
- Final energy: -10.0400 eV/atom
- Total magnetization: 0.00 μB/atom
- Density: 4.25 Mg/m³

Lattice parameters (Å, degrees): 8.488 8.488 8.488 90.00 90.00 90.00
Space group Fm-3m (No. 225)
Symmetry-distinct sites (fractional):
Rb (0.250, 0.250, 0.250)
Pd (0.000, 0.000, 0.000)
F (0.000, 0.000, 0.227)


Compound: SiO2
Source: Materials Project
Functional: r2SCAN
Structure: optimized geometry

Computed properties:
- Final energy: -9.9310 eV/atom
- Total magnetization: 0.00 μB/atom
- Density: 2.30 Mg/m³

Lattice parameters (Å, degrees): 10.131 10.131 10.131 90.00 90.00 90.00
Space group Ia-3d (No. 230)
Symmetry-distinct sites (fractional):
Si (0.000, 0.250, 0.375)
O (0.032, 0.125, 0.782)


Compound: GdFe5
Source: Materials Project
Functional: r2SCAN
Structure: optimized geometry

Computed properties:
- Final energy: -19.1467 eV/atom
- Total magnetization: 3.24 μB/atom
- Density: 8.00 Mg/m³

Lattice parameters (Å, degrees): 5.1666 5.1666 3.9170 90.00 90.00 120.00
Space group P6/mmm (No. 191)
Symmetry-distinct sites (fractional):
Gd (0.0000, 0.0000, 0.0000)
Fe (0.0000, 0.5000, 0.5000)
Fe (0.3333, 0.6667, 0.0000)


Compound: TmTc2
Source: Materials Project
Functional: r2SCAN
*/
[The crystal structures stop here]


I managed to slam my finger into Shanda's car door and the door locked in place. I had to "rip" (think jarring wrench with flesh being torn) my finger out of the door as Shanda had already gone inside with the keys. Jenna tried to help me open the door but it was "no can do." So it was: BREATHE, PULL and RUN inside to put into cold ice water to slow the swelling. Mind you the blood that was dripping into the glass from the torn section made the water look like a Jackson Pollock version of a cocktail for Halloween.

It took me two weeks after tearing the ligaments in my ankle (and straining one on the outside of my finally confirmed that) to take a pain pill. It took less than five minutes after finger injury to ask Jenna to get me the last of the prescription strenghth stuff. I couldn't open the little bottle as it was the index finger of my right hand. AND YEAH, I'm right handed. Darn.

All's well now. It's healing slowly but surely. However, I'm going to have a gnarly scar. It looks like all those maps of the Nile River you had to study in social studies as a kid. Which makes it REALLY "tight" to show to my seventh grade students. Tee hee.

Wednesday, November 01, 2006

November Wishes

Happy Birthday~
Lelan Scott Burgher
Jason Scott "Animal" Feilzer
Wendy of Wendy's Wonderful World

Happy Anniversary Larry and Susan Borges!
Get Out and VOTE
and I quote my nephew, Dalin,
"If you think like us."
Peaceful Veteran's Day!
Happy Thanksgiving to All!!!!!